-- Source --
Model w:
! PBE PrSn2Cl8, relaxed; values from VASP
&SYSTEM
  ibrav = 0, nat = 11, ntyp = 3
/
ATOMIC_SPECIES
Pr 140.91 Pr.upf
Sn 118.71 Sn.upf
Cl 35.45 Cl.upf
ATOMIC_POSITIONS crystal
Pr 0.000 0.000 0.000
Sn 0.306 0.306 0.490
Sn 0.694 0.694 0.510
Cl 0.024 0.666 0.737
Cl 0.162 0.162 0.765
Cl 0.334 0.976 0.263
Cl 0.453 0.453 0.249
Cl 0.547 0.547 0.751
Cl 0.666 0.024 0.737
Cl 0.838 0.838 0.235
Cl 0.976 0.334 0.263
CELL_PARAMETERS angstrom
5.551 -5.041 0.000
5.551 5.041 0.000
-1.816 0.000 6.679
! Symmetry: C2/m, No. 12
! DOS(E_F): 6.1 states/eV/f.u.

***

Model x:
! PBE PrSn2Cl8, relaxed; values from VASP
&SYSTEM
  ibrav = 0, nat = 11, ntyp = 3
/
ATOMIC_SPECIES
Pr 140.91 Pr.upf
Sn 118.71 Sn.upf
Cl 35.45 Cl.upf
ATOMIC_POSITIONS crystal
Pr 0.000 0.000 0.000
Sn 0.133 0.133 0.617
Sn 0.867 0.867 0.383
Cl 0.128 0.693 0.182
Cl 0.182 0.182 0.303
Cl 0.307 0.872 0.818
Cl 0.327 0.327 0.769
Cl 0.673 0.673 0.231
Cl 0.693 0.128 0.182
Cl 0.818 0.818 0.697
Cl 0.872 0.307 0.818
CELL_PARAMETERS angstrom
6.439 -4.194 0.000
6.439 4.194 0.000
-2.671 0.000 7.565
! Symmetry: C2/m, No. 12
! DOS(E_F): 6.3 states/eV/f.u.

***

Stability verdict: model w, ahead by 0.008 eV/atom

***

Model w:
! PBE TbPrCl2, relaxed; values from VASP
&SYSTEM
  ibrav = 0, nat = 4, ntyp = 3
/
ATOMIC_SPECIES
Tb 158.93 Tb.upf
Pr 140.91 Pr.upf
Cl 35.45 Cl.upf
ATOMIC_POSITIONS crystal
Tb 0.000 0.000 0.000
Pr 0.500 0.500 0.500
Cl 0.094 0.094 0.094
Cl 0.906 0.906 0.906
CELL_PARAMETERS angstrom
1.836 1.060 9.603
-1.836 1.060 9.603
0.000 -2.120 9.603
! Symmetry: R-3m, No. 166
! DOS(E_F): 1.5 states/eV/f.u.

***

Model x:
! PBE TbPrCl2, relaxed; values from VASP
&SYSTEM
  ibrav = 0, nat = 4, ntyp = 3
/
ATOMIC_SPECIES
Tb 158.93 Tb.upf
Pr 140.91 Pr.upf
Cl 35.45 Cl.upf
ATOMIC_POSITIONS crystal
Tb 0.000 0.000 0.000
Pr 0.165 0.165 0.165
Cl 0.414 0.414 0.414
Cl 0.585 0.585 0.585
CELL_PARAMETERS angstrom
1.775 1.025 8.912
-1.775 1.025 8.912
0.000 -2.049 8.912
! Symmetry: R3m, No. 160
! DOS(E_F): 1.1 states/eV/f.u.

***

Stability verdict: model w, ahead by 0.038 eV/atom

***

Model w:
! PBE TbPrCl6, relaxed; values from VASP
&SYSTEM
  ibrav = 0, nat = 8, ntyp = 3
/
ATOMIC_SPECIES
Tb 158.93 Tb.upf
Pr 140.91 Pr.upf
Cl 35.45 Cl.upf
ATOMIC_POSITIONS crystal
Tb 0.000 0.000 0.000
Pr 0.000 0.000 0.500
Cl 0.001 0.288 0.772
Cl 0.288 0.001 0.772
Cl 0.289 0.289 0.260
Cl 0.711 0.711 0.740
Cl 0.712 0.999 0.228
Cl 0.999 0.712 0.228
CELL_PARAMETERS angstrom
3.528 -6.132 0.000
3.528 6.132 0.000
-0.565 0.000 7.341
! Symmetry: C2/m, No. 12
! DOS(E_F): 0.0 states/eV/f.u.

***

Model x:
! PBE TbPrCl6, relaxed; values from VASP
&SYSTEM
  ibrav = 0, nat = 8, ntyp = 3
/
ATOMIC_SPECIES
Tb 158.93 Tb.upf
Pr 140.91 Pr.upf
Cl 35.45 Cl.upf
ATOMIC_POSITIONS crystal
Tb 0.000 0.000 0.000
Pr 0.500 0.500 0.500
Cl 0.096 0.392 0.757
Cl 0.243 0.904 0.608
Cl 0.392 0.757 0.096
Cl 0.608 0.243 0.904
Cl 0.757 0.096 0.392
Cl 0.904 0.608 0.243
CELL_PARAMETERS angstrom
3.433 1.982 6.289
-3.433 1.982 6.289
0.000 -3.964 6.289
! Symmetry: R-3, No. 148
! DOS(E_F): 0.0 states/eV/f.u.

***

Stability verdict: model x, ahead by 0.046 eV/atom


Record 1
Entry from Alexandria: a geometry-optimized Ca2TbAs3Pt4 structure (PBE).

Output
Energy of formation   -0.858 eV per atom

abc: 4.2805 4.2805 11.3674
angles: 90.00 90.00 90.00
With the nearest neighbours (Å) after each atom.
Space group P-4m2 (No. 115)
One atom of each set of equivalent atoms:
Ca (0.0000, 0.5000, 0.2197)  4 As 3.21, 8 Pt 3.29-3.32
Tb (0.0000, 0.0000, 0.5000)  4 Pt 2.80, 4 As 3.03
As (0.0000, 0.5000, 0.8737)  5 Pt 2.44-2.58
As (0.5000, 0.5000, 0.5000)  4 Pt 2.80, 4 Tb 3.03
Pt (0.0000, 0.0000, 0.0000)  4 As 2.58
Pt (0.0000, 0.5000, 0.6594)  1 As 2.44
Pt (0.5000, 0.5000, 0.0000)  4 As 2.58


Record 2
Entry from Alexandria: a geometry-optimized Ca2TiAs4Pt3 structure (PBE).

Output
Energy of formation   -0.823 eV per atom

abc: 4.2501 4.2501 10.8913
angles: 90.00 90.00 90.00
With the nearest neighbours (Å) after each atom.
Space group P-4m2 (No. 115)

-- Exercise --
Transcribe everything earlier on word for word.

-- Completed --
Model w:
! PBE PrSn2Cl8, relaxed; values from VASP
&SYSTEM
  ibrav = 0, nat = 11, ntyp = 3
/
ATOMIC_SPECIES
Pr 140.91 Pr.upf
Sn 118.71 Sn.upf
Cl 35.45 Cl.upf
ATOMIC_POSITIONS crystal
Pr 0.000 0.000 0.000
Sn 0.306 0.306 0.490
Sn 0.694 0.694 0.510
Cl 0.024 0.666 0.737
Cl 0.162 0.162 0.765
Cl 0.334 0.976 0.263
Cl 0.453 0.453 0.249
Cl 0.547 0.547 0.751
Cl 0.666 0.024 0.737
Cl 0.838 0.838 0.235
Cl 0.976 0.334 0.263
CELL_PARAMETERS angstrom
5.551 -5.041 0.000
5.551 5.041 0.000
-1.816 0.000 6.679
! Symmetry: C2/m, No. 12
! DOS(E_F): 6.1 states/eV/f.u.

***

Model x:
! PBE PrSn2Cl8, relaxed; values from VASP
&SYSTEM
  ibrav = 0, nat = 11, ntyp = 3
/
ATOMIC_SPECIES
Pr 140.91 Pr.upf
Sn 118.71 Sn.upf
Cl 35.45 Cl.upf
ATOMIC_POSITIONS crystal
Pr 0.000 0.000 0.000
Sn 0.133 0.133 0.617
Sn 0.867 0.867 0.383
Cl 0.128 0.693 0.182
Cl 0.182 0.182 0.303
Cl 0.307 0.872 0.818
Cl 0.327 0.327 0.769
Cl 0.673 0.673 0.231
Cl 0.693 0.128 0.182
Cl 0.818 0.818 0.697
Cl 0.872 0.307 0.818
CELL_PARAMETERS angstrom
6.439 -4.194 0.000
6.439 4.194 0.000
-2.671 0.000 7.565
! Symmetry: C2/m, No. 12
! DOS(E_F): 6.3 states/eV/f.u.

***

Stability verdict: model w, ahead by 0.008 eV/atom

***

Model w:
! PBE TbPrCl2, relaxed; values from VASP
&SYSTEM
  ibrav = 0, nat = 4, ntyp = 3
/
ATOMIC_SPECIES
Tb 158.93 Tb.upf
Pr 140.91 Pr.upf
Cl 35.45 Cl.upf
ATOMIC_POSITIONS crystal
Tb 0.000 0.000 0.000
Pr 0.500 0.500 0.500
Cl 0.094 0.094 0.094
Cl 0.906 0.906 0.906
CELL_PARAMETERS angstrom
1.836 1.060 9.603
-1.836 1.060 9.603
0.000 -2.120 9.603
! Symmetry: R-3m, No. 166
! DOS(E_F): 1.5 states/eV/f.u.

***

Model x:
! PBE TbPrCl2, relaxed; values from VASP
&SYSTEM
  ibrav = 0, nat = 4, ntyp = 3
/
ATOMIC_SPECIES
Tb 158.93 Tb.upf
Pr 140.91 Pr.upf
Cl 35.45 Cl.upf
ATOMIC_POSITIONS crystal
Tb 0.000 0.000 0.000
Pr 0.165 0.165 0.165
Cl 0.414 0.414 0.414
Cl 0.585 0.585 0.585
CELL_PARAMETERS angstrom
1.775 1.025 8.912
-1.775 1.025 8.912
0.000 -2.049 8.912
! Symmetry: R3m, No. 160
! DOS(E_F): 1.1 states/eV/f.u.

***

Stability verdict: model w, ahead by 0.038 eV/atom

***

Model w:
! PBE TbPrCl6, relaxed; values from VASP
&SYSTEM
  ibrav = 0, nat = 8, ntyp = 3
/
ATOMIC_SPECIES
Tb 158.93 Tb.upf
Pr 140.91 Pr.upf
Cl 35.45 Cl.upf
ATOMIC_POSITIONS crystal
Tb 0.000 0.000 0.000
Pr 0.000 0.000 0.500
Cl 0.001 0.288 0.772
Cl 0.288 0.001 0.772
Cl 0.289 0.289 0.260
Cl 0.711 0.711 0.740
Cl 0.712 0.999 0.228
Cl 0.999 0.712 0.228
CELL_PARAMETERS angstrom
3.528 -6.132 0.000
3.528 6.132 0.000
-0.565 0.000 7.341
! Symmetry: C2/m, No. 12
! DOS(E_F): 0.0 states/eV/f.u.

***

Model x:
! PBE TbPrCl6, relaxed; values from VASP
&SYSTEM
  ibrav = 0, nat = 8, ntyp = 3
/
ATOMIC_SPECIES
Tb 158.93 Tb.upf
Pr 140.91 Pr.upf
Cl 35.45 Cl.upf
ATOMIC_POSITIONS crystal
Tb 0.000 0.000 0.000
Pr 0.500 0.500 0.500
Cl 0.096 0.392 0.757
Cl 0.243 0.904 0.608
Cl 0.392 0.757 0.096
Cl 0.608 0.243 0.904
Cl 0.757 0.096 0.392
Cl 0.904 0.608 0.243
CELL_PARAMETERS angstrom
3.433 1.982 6.289
-3.433 1.982 6.289
0.000 -3.964 6.289
! Symmetry: R-3, No. 148
! DOS(E_F): 0.0 states/eV/f.u.

***

Stability verdict: model x, ahead by 0.046 eV/atom


Record 1
Entry from Alexandria: a geometry-optimized Ca2TbAs3Pt4 structure (PBE).

Output
Energy of formation   -0.858 eV per atom

abc: 4.2805 4.2805 11.3674
angles: 90.00 90.00 90.00
With the nearest neighbours (Å) after each atom.
Space group P-4m2 (No. 115)
One atom of each set of equivalent atoms:
Ca (0.0000, 0.5000, 0.2197)  4 As 3.21, 8 Pt 3.29-3.32
Tb (0.0000, 0.0000, 0.5000)  4 Pt 2.80, 4 As 3.03
As (0.0000, 0.5000, 0.8737)  5 Pt 2.44-2.58
As (0.5000, 0.5000, 0.5000)  4 Pt 2.80, 4 Tb 3.03
Pt (0.0000, 0.0000, 0.0000)  4 As 2.58
Pt (0.0000, 0.5000, 0.6594)  1 As 2.44
Pt (0.5000, 0.5000, 0.0000)  4 As 2.58


Record 2
Entry from Alexandria: a geometry-optimized Ca2TiAs4Pt3 structure (PBE).

Output
Energy of formation   -0.823 eV per atom

abc: 4.2501 4.2501 10.8913
angles: 90.00 90.00 90.00
With the nearest neighbours (Å) after each atom.
Space group P-4m2 (No. 115)